== Listing ==
=====
Record 1
SrBeAs3: relaxed, PBE.

Cell lengths 4.7313, 4.7313, 4.7313 Å; angles 90.00, 90.00, 90.00 degrees
Fractional positions:
As 0.0000 0.0000 0.5000
As 0.0000 0.5000 0.0000
As 0.5000 0.0000 0.0000
Sr 0.5000 0.5000 0.5000
Be 0.0000 0.0000 0.0000

Output
crystal system = cubic
formation energy = -0.144 eV/atom
mass density = 5.04 g cm⁻³
density of states at the Fermi level = 0.584 states/eV/atom
offset from the most stable computed form = 0.000 eV/atom
VASP energy = -4.02 eV/atom
symmetry = Pm-3m (221)


Record 2
SrBe2As2: relaxed, PBE.

Cell lengths 6.3515, 6.3515, 6.2818 Å; angles 111.58, 111.58, 105.81 degrees
Fractional positions:
As 0.5676 0.9324 0.7500
As 0.1824 0.3176 0.7500
As 0.8176 0.6824 0.2500
As 0.4324 0.0676 0.2500
Be 0.7529 0.0029 0.5058
Be 0.4971 0.7471 0.9942
Be 0.2471 0.9971 0.4942
Be 0.5029 0.2529 0.0058
Sr 0.1250 0.3750 0.2500
Sr 0.8750 0.6250 0.7500

Output
crystal system = orthorhombic
formation energy = -0.576 eV/atom
mass density = 4.39 g cm⁻³
density of states at the Fermi level = 0.018 states/eV/atom
VASP energy = -4.26 eV/atom
symmetry = Fddd (70)

* * * * *

Record 1
VASP calculation (PBE) on a relaxed structure of CrMo.

```
16
Lattice="7.4949 0.0000 0.0000 0.0000 7.4949 0.0000 0.0000 0.0000 4.3864" Properties=species:S:1:pos:R:3 pbc="T T T"
Mo 6.0295 1.0947 0.0000
Cr 4.9139 0.1737 2.1932
Cr 1.1664 3.9212 0.0000
Mo 4.8422 5.2128 2.1932
Mo 6.4002 6.0295 0.0000
Cr 2.5810 7.3211 2.1932
Cr 0.1737 2.5810 2.1932
Mo 5.2128 2.6527 2.1932
Mo 2.6527 2.2821 2.1932
Mo 1.0947 1.4654 0.0000
Cr 7.3211 4.9139 2.1932
Mo 1.4654 6.4002 0.0000
Cr 3.5737 1.1664 0.0000
Mo 2.2821 4.8422 2.1932
Cr 3.9212 6.3284 0.0000
Cr 6.3284 3.5737 0.0000
```

Summary:
Its formation energy is 609 meV per atom. Its volume is 246 Å³/cell. As for the spin magnetization: 0.0 μB per cell. The value obtained for the total energy is -9.618 eV per atom.

Record 2
VASP calculation (PBE) on a relaxed structure of CrMo.

```
4
Lattice="2.7817 0.0000 0.0000 -1.3909 8.4687 0.0188 1.3909 -0.2338 2.3977" Properties=species:S:1:pos:R:3 pbc="T T T"
Cr 2.7817 8.0363 2.3972
Cr 0.0000 6.4917 0.6329
Mo 1.3909 4.2643 1.2226
Mo 2.7817 1.7950 1.7887
```

Summary:
Its formation energy is 393 meV per atom. Its volume is 56 Å³/cell. As for the spin magnetization: 0.0 μB per cell. The value obtained for the total energy is -9.834 eV per atom.

Record 3
VASP calculation (PBE) on a relaxed structure of Cr2Mo.

```
6
Lattice="4.8144 0.0000 0.0000 2.4072 4.1694 0.0000 2.4072 1.3898 3.9310" Properties=species:S:1:pos:R:3 pbc="T T T"
Cr 4.8144 2.7796 1.9655
Cr 2.4072 2.7796 1.9655
Cr 3.6108 2.0847 0.0000
Mo 8.4252 4.8643 3.4396
Cr 3.6108 0.6949 1.9655
Mo 1.2036 0.6949 0.4914
```

Summary:
Its formation energy is 81 meV per atom. Its volume is 79 Å³/cell. As for the spin magnetization: 0.0 μB per cell. The value obtained for the energy above the most stable polymorph in this dataset is 22 meV/atom. The value obtained for the total energy is -9.945 eV per atom.

Record 4
VASP calculation (PBE) on a relaxed structure of Cr2Mo.

```
12
Lattice="2.8181 0.0000 0.0000 0.0000 4.2524 0.0000 0.0000 0.0000 13.6919" Properties=species:S:1:pos:R:3 pbc="T T T"
Cr 1.4090 3.1893 7.1083
Mo 0.0000 1.0631 8.9676
Mo 1.4090 3.1893 2.1217
Cr 0.0000 1.0631 0.2624
Mo 1.4090 1.0631 11.5702
Cr 0.0000 3.1893 11.1627
Cr 0.0000 3.1893 13.4295
Cr 0.0000 1.0631 2.5292
Cr 1.4090 1.0631 6.5835
Cr 1.4090 3.1893 9.3751
Mo 0.0000 3.1893 4.7242
Cr 1.4090 1.0631 4.3167
```

Summary:
Its formation energy is 505 meV per atom. Its volume is 164 Å³/cell. As for the spin magnetization: 0.0 μB per cell. The value obtained for the energy above the most stable polymorph in this dataset is 445 meV/atom. The value obtained for the total energy is -9.521 eV per atom.

Record 5
VASP calculation (PBE) on a relaxed structure of CrMo.

```
8
Lattice="2.1392 -3.7051 0.0000 2.1392 3.7051 0.0000 0.0000 0.0000 7.4134" Properties=species:S:1:pos:R:3 pbc="T T T"
Cr 2.1392 1.2350 5.5601
Mo 2.1392 -1.2350 6.8992
=====
== Job ==
It remains to give back the whole of the data further up with every line break kept.
== Completed ==
Record 1
SrBeAs3: relaxed, PBE.

Cell lengths 4.7313, 4.7313, 4.7313 Å; angles 90.00, 90.00, 90.00 degrees
Fractional positions:
As 0.0000 0.0000 0.5000
As 0.0000 0.5000 0.0000
As 0.5000 0.0000 0.0000
Sr 0.5000 0.5000 0.5000
Be 0.0000 0.0000 0.0000

Output
crystal system = cubic
formation energy = -0.144 eV/atom
mass density = 5.04 g cm⁻³
density of states at the Fermi level = 0.584 states/eV/atom
offset from the most stable computed form = 0.000 eV/atom
VASP energy = -4.02 eV/atom
symmetry = Pm-3m (221)


Record 2
SrBe2As2: relaxed, PBE.

Cell lengths 6.3515, 6.3515, 6.2818 Å; angles 111.58, 111.58, 105.81 degrees
Fractional positions:
As 0.5676 0.9324 0.7500
As 0.1824 0.3176 0.7500
As 0.8176 0.6824 0.2500
As 0.4324 0.0676 0.2500
Be 0.7529 0.0029 0.5058
Be 0.4971 0.7471 0.9942
Be 0.2471 0.9971 0.4942
Be 0.5029 0.2529 0.0058
Sr 0.1250 0.3750 0.2500
Sr 0.8750 0.6250 0.7500

Output
crystal system = orthorhombic
formation energy = -0.576 eV/atom
mass density = 4.39 g cm⁻³
density of states at the Fermi level = 0.018 states/eV/atom
VASP energy = -4.26 eV/atom
symmetry = Fddd (70)

* * * * *

Record 1
VASP calculation (PBE) on a relaxed structure of CrMo.

```
16
Lattice="7.4949 0.0000 0.0000 0.0000 7.4949 0.0000 0.0000 0.0000 4.3864" Properties=species:S:1:pos:R:3 pbc="T T T"
Mo 6.0295 1.0947 0.0000
Cr 4.9139 0.1737 2.1932
Cr 1.1664 3.9212 0.0000
Mo 4.8422 5.2128 2.1932
Mo 6.4002 6.0295 0.0000
Cr 2.5810 7.3211 2.1932
Cr 0.1737 2.5810 2.1932
Mo 5.2128 2.6527 2.1932
Mo 2.6527 2.2821 2.1932
Mo 1.0947 1.4654 0.0000
Cr 7.3211 4.9139 2.1932
Mo 1.4654 6.4002 0.0000
Cr 3.5737 1.1664 0.0000
Mo 2.2821 4.8422 2.1932
Cr 3.9212 6.3284 0.0000
Cr 6.3284 3.5737 0.0000
```

Summary:
Its formation energy is 609 meV per atom. Its volume is 246 Å³/cell. As for the spin magnetization: 0.0 μB per cell. The value obtained for the total energy is -9.618 eV per atom.

Record 2
VASP calculation (PBE) on a relaxed structure of CrMo.

```
4
Lattice="2.7817 0.0000 0.0000 -1.3909 8.4687 0.0188 1.3909 -0.2338 2.3977" Properties=species:S:1:pos:R:3 pbc="T T T"
Cr 2.7817 8.0363 2.3972
Cr 0.0000 6.4917 0.6329
Mo 1.3909 4.2643 1.2226
Mo 2.7817 1.7950 1.7887
```

Summary:
Its formation energy is 393 meV per atom. Its volume is 56 Å³/cell. As for the spin magnetization: 0.0 μB per cell. The value obtained for the total energy is -9.834 eV per atom.

Record 3
VASP calculation (PBE) on a relaxed structure of Cr2Mo.

```
6
Lattice="4.8144 0.0000 0.0000 2.4072 4.1694 0.0000 2.4072 1.3898 3.9310" Properties=species:S:1:pos:R:3 pbc="T T T"
Cr 4.8144 2.7796 1.9655
Cr 2.4072 2.7796 1.9655
Cr 3.6108 2.0847 0.0000
Mo 8.4252 4.8643 3.4396
Cr 3.6108 0.6949 1.9655
Mo 1.2036 0.6949 0.4914
```

Summary:
Its formation energy is 81 meV per atom. Its volume is 79 Å³/cell. As for the spin magnetization: 0.0 μB per cell. The value obtained for the energy above the most stable polymorph in this dataset is 22 meV/atom. The value obtained for the total energy is -9.945 eV per atom.

Record 4
VASP calculation (PBE) on a relaxed structure of Cr2Mo.

```
12
Lattice="2.8181 0.0000 0.0000 0.0000 4.2524 0.0000 0.0000 0.0000 13.6919" Properties=species:S:1:pos:R:3 pbc="T T T"
Cr 1.4090 3.1893 7.1083
Mo 0.0000 1.0631 8.9676
Mo 1.4090 3.1893 2.1217
Cr 0.0000 1.0631 0.2624
Mo 1.4090 1.0631 11.5702
Cr 0.0000 3.1893 11.1627
Cr 0.0000 3.1893 13.4295
Cr 0.0000 1.0631 2.5292
Cr 1.4090 1.0631 6.5835
Cr 1.4090 3.1893 9.3751
Mo 0.0000 3.1893 4.7242
Cr 1.4090 1.0631 4.3167
```

Summary:
Its formation energy is 505 meV per atom. Its volume is 164 Å³/cell. As for the spin magnetization: 0.0 μB per cell. The value obtained for the energy above the most stable polymorph in this dataset is 445 meV/atom. The value obtained for the total energy is -9.521 eV per atom.

Record 5
VASP calculation (PBE) on a relaxed structure of CrMo.

```
8
Lattice="2.1392 -3.7051 0.0000 2.1392 3.7051 0.0000 0.0000 0.0000 7.4134" Properties=species:S:1:pos:R:3 pbc="T T T"
Cr 2.1392 1.2350 5.5601
Mo 2.1392 -1.2350 6.8992